# Given
~~~
Entry 1:
A 6-piece molecular cluster, C49H59BrF3N7O17S overall, computed with wB97M-V/def2-TZVPD.

Geometry as XYZ:
```
137
Properties=species:S:1:pos:R:3:forces:R:3
H -10.6554 -0.3869 6.1528 0.010 -0.079 -0.032
C 10.1399 -1.3597 -9.4850 0.143 -0.021 -0.052
C 1.1563 2.8955 -11.1560 -0.116 -0.051 -0.076
C 5.1569 -1.5093 1.1557 0.107 0.051 0.192
H 7.3425 1.1053 -10.5162 -0.024 -0.006 0.005
C 2.5687 1.6843 0.2887 0.600 -0.185 -0.127
H -4.6264 -0.8516 2.9484 -0.005 0.052 0.002
C -0.4801 -1.5154 -0.1611 -0.216 0.012 0.017
O 4.5222 2.3796 -10.1877 0.146 0.047 0.039
H -2.6753 2.9440 -0.0370 0.130 -0.056 0.017
H 3.2105 -0.7896 1.8358 -0.077 0.086 -0.232
C 2.3773 3.1332 -10.5531 -0.071 0.063 0.022
H 0.4851 0.2427 -0.9147 0.121 0.009 -0.060
H -5.9930 -8.0279 8.2820 -0.009 0.070 0.050
H -2.4924 5.2306 0.5554 0.016 -0.001 -0.002
C -3.2216 0.6975 3.4501 -0.226 -0.209 0.175
C -3.6749 -0.7574 3.4754 -0.014 0.081 -0.217
C -2.2384 -1.0735 6.5651 -0.292 0.006 -0.368
H 4.7766 -1.2866 -8.2531 -0.013 -0.012 -0.005
O 0.3297 1.7855 4.2727 0.653 -0.577 -0.455
H -1.3884 -1.5815 7.0201 0.021 0.045 0.067
H -3.0258 -0.9325 7.3055 0.096 0.012 0.100
N 4.5362 1.2130 -3.5916 -0.034 -0.036 -0.017
H 1.7312 6.0137 -8.9446 0.009 0.007 0.009
C 1.4543 1.2192 1.1949 -0.834 0.392 0.162
H 3.5731 4.4009 -9.3057 0.032 -0.070 -0.028
C 9.3716 0.4730 -10.8402 0.001 -0.024 0.026
H 4.5406 2.3497 -6.0031 -0.010 0.003 0.089
H 5.8687 -1.7868 1.9350 -0.042 -0.037 0.022
C 4.6621 0.6134 -7.2665 -0.032 -0.093 0.005
H -6.0025 -9.2149 6.1105 0.001 -0.012 0.007
H 4.6561 1.1778 -8.1886 0.008 0.037 0.013
H -2.3164 0.8097 4.0516 0.151 0.081 -0.060
H -7.6422 -1.1869 9.9892 0.014 -0.020 0.001
H -5.9079 -5.4557 4.0603 -0.011 0.019 -0.003
O 3.2532 1.2091 -11.4639 -0.026 -0.097 -0.074
H 4.8331 -2.5839 -6.1602 0.029 -0.012 0.015
H 4.6117 -2.4089 0.8785 -0.023 0.028 -0.174
O -3.8788 -1.2187 4.7940 -0.056 -0.131 -0.188
O 9.5524 -3.1160 -7.5060 0.096 -0.080 0.027
H 11.3435 -0.3686 -10.9477 0.014 -0.006 -0.001
H 10.9107 -2.0538 -9.1865 -0.045 -0.034 0.064
C 4.7043 -0.8587 -4.9021 -0.007 -0.114 0.004
C 4.2108 -0.4079 1.6666 0.329 -0.231 0.239
C 7.8803 -0.5274 -9.2456 -0.109 0.072 -0.020
H 9.5625 1.2127 -11.6062 0.001 0.001 -0.012
C 10.3747 -0.4140 -10.4700 -0.073 0.047 -0.012
C -2.0433 2.0379 1.8422 -0.804 -0.002 -0.037
O 4.4218 2.4231 -3.6006 -0.015 0.106 -0.018
C -2.6935 3.1617 1.0313 -0.159 0.113 0.223
C -2.5485 5.1233 2.7007 0.162 -0.160 0.359
C 8.8932 -1.3974 -8.8895 0.016 0.076 -0.053
C 8.1254 0.4158 -10.2300 0.073 0.014 -0.041
C -5.9567 -7.4082 4.9515 0.003 0.016 0.022
O -0.9883 1.3676 1.1555 0.414 -0.104 0.359
H -5.9058 -4.2730 6.2226 -0.028 0.002 0.117
C 0.7613 -0.5702 -0.2475 -0.415 -0.170 -0.020
H -3.0213 4.2014 4.3601 -0.057 -0.012 0.052
H 2.6669 2.7605 0.4153 -0.019 -0.013 -0.014
H 0.1976 2.9214 1.7407 0.317 -0.087 0.115
H 0.3304 3.7511 -0.3033 -0.083 0.064 -0.069
C -2.7999 -1.8954 5.4097 0.181 0.012 0.549
C 0.3348 4.9197 -10.1531 0.020 -0.019 -0.005
H -3.7425 3.1577 1.3236 -0.016 -0.017 -0.049
H -1.6814 2.4586 2.7830 0.288 -0.138 0.050
S 4.2522 1.0045 0.5238 -0.094 0.199 0.243
C 4.5990 1.2727 -6.0488 0.017 0.092 -0.101
O -8.9377 -3.8471 6.2570 0.109 -0.083 0.078
C -9.8282 0.4256 7.9621 0.049 -0.026 0.053
H 6.9190 -0.5803 -8.7602 0.027 -0.043 0.070
C -8.9822 0.1970 9.0399 0.003 -0.020 -0.015
H -0.4723 5.6215 -9.9913 -0.005 0.009 -0.004
H 1.0102 2.0214 -11.7722 0.076 -0.034 0.017
C 2.5445 2.5274 2.9880 -0.583 0.857 -0.028
C -5.9790 -8.1343 6.1356 0.002 0.051 -0.059
H -1.6565 5.3760 3.2780 0.025 0.038 -0.045
C 0.5591 -0.5220 3.7259 -0.057 0.157 -0.261
N -5.9653 -5.3913 8.6506 0.015 -0.028 -0.029
C -10.0021 -0.5513 6.9961 -0.080 0.122 -0.036
C -8.4713 -1.9948 8.1940 0.082 -0.089 0.113
N 3.4666 2.1663 -10.7541 -0.028 0.007 -0.006
N 8.6379 -2.3907 -7.8315 -0.004 0.044 -0.039
H -0.8350 3.6304 -11.4087 -0.008 -0.007 -0.010
C -5.9750 -7.4767 7.3542 -0.009 -0.145 0.024
O 2.1981 3.6143 2.5806 0.427 -0.750 0.018
C 0.1782 2.1391 0.9825 -0.383 0.308 -0.435
~~~

# Work order
Filter the block earlier on: keep the lines with the word "C49H59BrF3N7O17S".

# Completed
A 6-piece molecular cluster, C49H59BrF3N7O17S overall, computed with wB97M-V/def2-TZVPD.